Material:
........
# KSrSn2 (GGA-PBE, relaxed)
# ΔE to the lowest computed polymorph, eV/atom: 0.000
# DOS at the Fermi energy, states/eV per atom: 0.315
# Calculated formation energy, meV/atom: -468
data_KSrSn2
_cell_length_a 4.984
_cell_length_b 7.594
_cell_length_c 8.488
_cell_angle_alpha 90.00
_cell_angle_beta 107.01
_cell_angle_gamma 90.00
_symmetry_space_group_name_H-M 'P 1 21/m 1'
_symmetry_Int_Tables_number 11
_symmetry_space_group_name_Hall '-P 2yb'
loop_
_atom_site_label
_atom_site_type_symbol
_atom_site_fract_x
_atom_site_fract_y
_atom_site_fract_z
K1 K 0.228 0.250 0.457
Sr1 Sr 0.043 0.750 0.086
Sn1 Sn 0.413 0.556 0.825

=====

# Ba2InPb6Au (GGA-PBE, relaxed)
# DOS at the Fermi energy, states/eV per atom: 0.679
# Calculated formation energy, meV/atom: -181
data_Ba2InPb6Au
_cell_length_a 7.6292
_cell_length_b 7.6292
_cell_length_c 42.7813
_cell_angle_alpha 90.00
_cell_angle_beta 90.00
_cell_angle_gamma 120.00
_symmetry_space_group_name_H-M 'R -3 m'
_symmetry_Int_Tables_number 166
_symmetry_space_group_name_Hall '-R 3 2"'
loop_
_atom_site_label
_atom_site_type_symbol
_atom_site_fract_x
_atom_site_fract_y
_atom_site_fract_z
Ba1 Ba 0.0000 0.0000 0.1141
Ba2 Ba 0.0000 0.0000 0.2890
In1 In 0.0000 0.0000 0.4277
Pb1 Pb 0.0388 0.5194 0.2963
Pb2 Pb 0.0557 0.5279 0.8667
Au1 Au 0.0000 0.0000 0.0000
Au2 Au 0.0000 0.0000 0.5000

=====

# CsNaSbSe3 (GGA-PBE, relaxed)
# Energy relative to the elements, uncorrected, eV/atom: -0.7219
# DOS at the Fermi energy, states/eV per atom: 0.145
data_CsNaSbSe3
_cell_length_a 7.712
_cell_length_b 14.641
_cell_length_c 7.463
_cell_angle_alpha 90.00
_cell_angle_beta 90.00
_cell_angle_gamma 90.00
_symmetry_space_group_name_H-M 'C m c m'
_symmetry_Int_Tables_number 63
_symmetry_space_group_name_Hall '-C 2c 2'
loop_
_atom_site_label
_atom_site_type_symbol
_atom_site_fract_x
_atom_site_fract_y
_atom_site_fract_z
Cs1 Cs 0.000 0.234 0.250
Na1 Na 0.000 0.087 0.750
Sb1 Sb 0.000 0.455 0.750
Se1 Se 0.000 0.282 0.750
Se2 Se 0.247 0.000 0.000

=====

# CeThO (GGA-PBE, relaxed)
# Energy relative to the elements, uncorrected, eV/atom: -1.5845
# ΔE to the lowest computed polymorph, eV/atom: 0.000
# DOS at the Fermi energy, states/eV per atom: 1.949
data_CeThO
_cell_length_a 3.7183
_cell_length_b 3.7183
_cell_length_c 5.8113
_cell_angle_alpha 90.00
_cell_angle_beta 90.00
_cell_angle_gamma 120.00
_symmetry_space_group_name_H-M 'P 3 m 1'
_symmetry_Int_Tables_number 156
_symmetry_space_group_name_Hall 'P 3 -2"'
loop_
_atom_site_label
_atom_site_type_symbol
_atom_site_fract_x
_atom_site_fract_y
_atom_site_fract_z
Ce1 Ce 0.0000 0.0000 0.0000
Th1 Th 0.6667 0.3333 0.5348
O1 O 0.3333 0.6667 0.7663
........

Job:
Now start at the top of the listing further up and reproduce each line, ending with the one that has "_cell_length_c 8.488".

Solution:
# KSrSn2 (GGA-PBE, relaxed)
# ΔE to the lowest computed polymorph, eV/atom: 0.000
# DOS at the Fermi energy, states/eV per atom: 0.315
# Calculated formation energy, meV/atom: -468
data_KSrSn2
_cell_length_a 4.984
_cell_length_b 7.594
_cell_length_c 8.488